February 2024 Meeting Minutes

Meeting was held February 12th at 7:30pm

I- Officer Reports

Seneschal: Johann Bohrer von Elsass/Deor Leodegar
a- Transition of office from Johann to Deor Leodegar
b- Report in on time. (Regional says one of the few who did)
c- Thanks for partaking in the poll

Misplaced crystal structures:
********
First-principles (GGA-PBE) data for BaBeZn2 after structural relaxation, as listed in Alexandria via LeMat-Bulk.

Summary:
Space group: C2/m
ΔH_f (0 K) (kcal/mol of atoms): 15.0

Cell: 6.1303 6.1303 3.3790 Å, 76.98 76.98 120.23°
Fractional coordinates of all 4 atoms:
1 Zn 0.0000 0.0000 0.0000
2 Be 0.0000 0.5000 0.5000
3 Ba 0.5000 0.0000 0.5000
4 Zn 0.5000 0.5000 0.0000
********
The crystal structures stop here:

Baron/Baroness: Sir Angus von Atzinger and Mistress Melisande de Canonwald
a- Transitions Deputy thanked Barony for the help. Looks like we hit threshold for vote count
b- Final court at May Day
c- Reminder that we need a Camp Rieve for Pennsic. Registration is open. Neighbor camp rieve willing to be proxy of Fenix can’t be there for landgrab

Exchequer: Hypathia of Inish mor
a- Amount in the bank is $2,402.85
b- We have online access to the bank!
c- Twelfth Night cost $250. We received $180 in donations from Twelfth Night, and $75 last minute donations
d- Domesday report done and approved

Chronicler: Roisin de Burgh
a- Please send me stories and pictures from the early years of the barony

A&S: Francis Howard Not in attendance

Chatelaine: Gabriel de Burgh
a- Report on time
b- Need deputy
c- We have been contacted by the Sharonville Library to take part in the mini-Medieval Fair on Saturday April 20th.
a. Asked for combat demonstrations, but Chatelaine wants A&S represented as well
b. Seems to be interest in it based on meeting.

Herald: Reinhold von Glier
a- Reports in on time, website error so report in late.
b- Need to find a replacement.

Quartermaster: Roisin de Burgh

Social Media: Amaranth Wolfbane Not in attendance

Web minister: Roisin de Burgh
a- Champions list has been updated on the website

Armored/Heavy Marshal: Onund Ullrson
a- Joint loaner armor making day with Flaming Gryphon
b- I’m on my 3rd year. Dorian is offering to take place.

Rapier Marshal: Gabriel de Burgh
a- Report in on time, error so report in late

Youth Martial Marshal: Reinhold von Glier

Signet: Office vacant
Archery Marshal: Office vacant
Equestrian Marshal: Office vacant
Thrown Weapons Marshal: Office vacant

II- Old Business

a- Rapier Marshal is still planning for day to make loaner gorgets for new members

<<<
This record from Alexandria via LeMat-Bulk describes FeTc2Br after structural relaxation. The functional is PBE.

Summary:
- Space group: C2/m, No. 12
- Total moment: 2.3 μB/cell

abc: 4.2046 4.2046 7.6068
angles: 117.63 117.63 41.21
Last column: nearest neighbours and their distance in Å.
Element x y z (fractional)
Fe  0.0000  0.0000  0.0000  6 Tc 2.48
Tc  0.2100  0.2100  0.8416  3 Fe 2.48, 2 Tc 2.62, 2 Br 2.72
Tc  0.7900  0.7900  0.1584  3 Fe 2.48, 2 Tc 2.62, 2 Br 2.72
Br  0.5000  0.5000  0.5000  4 Tc 2.72, 2 Br 2.96

This record from Alexandria via LeMat-Bulk describes Ho5Te after structural relaxation. The functional is PBE.

Summary:
- Space group: Cmmm, No. 65
- Total moment: 0.0 μB/cell

abc: 7.8783 7.8783 4.8681
angles: 90.00 90.00 145.10
Last column: nearest neighbours and their distance in Å.
Element x y z (fractional)
Ho  0.0000  0.0000  0.0000  4 Te 3.39, 8 Ho 3.46-3.47
Ho  0.1637  0.8363  0.5000  10 Ho 3.39-3.51, 2 Te 3.41
Ho  0.3313  0.6687  0.0000  10 Ho 3.39-3.50, 2 Te 3.52
Ho  0.6687  0.3313  0.0000  10 Ho 3.39-3.50, 2 Te 3.52
Ho  0.8363  0.1637  0.5000  10 Ho 3.39-3.51, 2 Te 3.41
Te  0.5000  0.5000  0.5000  12 Ho 3.39-3.52

This record from Alexandria via LeMat-Bulk describes HgIrPdO6 after structural relaxation. The functional is PBE.

Summary:
- Space group: P-31c, No. 163
- Total moment: 3.1 μB/cell

abc: 5.3039 5.3039 9.6728
angles: 90.00 90.00 120.00
Last column: nearest neighbours and their distance in Å.
Element x y z (fractional)
Hg  0.0000  0.0000  0.0000  6 O 2.39
Hg  0.0000  0.0000  0.5000  6 O 2.39
Ir  0.3333  0.6667  0.2500  6 O 1.95
Ir  0.6667  0.3333  0.7500  6 O 1.95
Pd  0.3333  0.6667  0.7500  6 O 2.02
Pd  0.6667  0.3333  0.2500  6 O 2.02
O  0.0103  0.3788  0.1388  1 Ir 1.95, 1 Pd 2.02
O  0.0103  0.6314  0.3612  1 Ir 1.95, 1 Pd 2.02
O  0.3686  0.3788  0.3612  1 Ir 1.95, 1 Pd 2.02
O  0.3686  0.9897  0.1388  1 Ir 1.95, 1 Pd 2.02
O  0.3788  0.0103  0.6388  1 Ir 1.95, 1 Pd 2.02
O  0.3788  0.3686  0.8612  1 Ir 1.95, 1 Pd 2.02
O  0.6212  0.6314  0.1388  1 Ir 1.95, 1 Pd 2.02
O  0.6212  0.9897  0.3612  1 Ir 1.95, 1 Pd 2.02
O  0.6314  0.0103  0.8612  1 Ir 1.95, 1 Pd 2.02
O  0.6314  0.6212  0.6388  1 Ir 1.95, 1 Pd 2.02
O  0.9897  0.3686  0.6388  1 Ir 1.95, 1 Pd 2.02
O  0.9897  0.6212  0.8612  1 Ir 1.95, 1 Pd 2.02

Number 1: uncorrected formation energy 0.663 eV/atom. Number 2: uncorrected formation energy -0.265 eV/atom. Number 3: uncorrected formation energy -0.393 eV/atom.
>>>
**End of the records of crystals**

b- Proposal for practices to be held at Pioneer Park in Kentucky has been tabled until February.
—–a. Second Practice to be held if another marshal can be found to run it.

c- Need someone for A&S Minister

d- We have been contacted by Great Parks of Hamilton County for a demo opportunity: Saturday, June 15 from 9:30-3:30pm and Sunday, June 16 from 12-4pm. Glenwood Gardens (10397 Springfield Pike, Woodlawn, OH 45215)
—–a. “Fairy tale festival / Fables and Folklore Festival”
—–b. A&S, especially weaving, Armored and rapier fighting, talking about our kits and taking pictures, normal demo stuff.
—–c. We would have a 20×20 list space plus some surrounding / adjacent area for gear and displays

e- May Day
—–a. Bid for Royalty Lunch, would need $80.
—–b. Need Lunch Tavern Budget Bid
———-i. Asking $200
———-ii. Expected to make $5 person x 120 people = $600
———-iii. Passed
—–c. Need a Royal Court Herald. Gabriel will run Baronial Court.
—–d. Looking for A&S teachers and A&S classes
—–e. Need Parking lot attendant– Caveron volunteered
—–f. A&S bean count competitionuy, prize by Reinhold
—–g. Need Newcomers Point and Youth Point
—–h. Hotel is reserved for TRH/TRM. No hotel plan for future TRH yet.
—–i. Their Excellencies of Sternfeld are planning to attend

III- New Business:

a- New Knight Marshal to be voted next month – Dorian
b- New Exchequer to be voted next month – Gareth de Burgh
c- New Herald to be voted next month – Gabriel de Burgh
d- New Chatelaine voted next month – Reinhold von Glier